Your job: print the data below from the first line to the one with "(0.352, 0.003," exactly.

┌──
# MnPtIO6
Theoretical powder diffractogram, Cu Kα (weighted mean of Kα1 and Kα2). Input: a cell relaxed with GGA+U.

The 10 most intense peaks (2θ = 10–90°), in order of rising 2θ:
| hkl | two_theta | I_rel |
| --- | --- | --- |
| 0 0 2 | 19.11 | 612 |
| 1 0 0 | 19.29 | 283 |
| 1 0 2 | 27.28 | 1000 |
| 1 1 0 | 33.73 | 642 |
| 1 1 2 | 39.06 | 633 |
| 2 0 2 | 43.91 | 267 |
| 1 1 4 | 52.32 | 604 |
| 2 1 2 | 56.49 | 253 |
| 3 0 0 | 60.34 | 230 |
| 4 -2 4 | 83.91 | 148 |

Cell and atoms:
abc: 5.314 5.314 9.289
angles: 90.00 90.00 120.00
Sites, in units of the cell vectors:
Mn (0.000, 0.000, 0.000)
Mn (0.000, 0.000, 0.500)
Pt (0.333, 0.667, 0.250)
Pt (0.667, 0.333, 0.750)
I (0.333, 0.667, 0.750)
I (0.667, 0.333, 0.250)
O (0.003, 0.352, 0.133)
O (0.003, 0.651, 0.367)
O (0.349, 0.352, 0.367)
O (0.349, 0.997, 0.133)
O (0.352, 0.003, 0.633)
O (0.352, 0.349, 0.867)
O (0.648, 0.651, 0.133)
O (0.648, 0.997, 0.367)
O (0.651, 0.003, 0.867)
O (0.651, 0.648, 0.633)
O (0.997, 0.349, 0.633)
O (0.997, 0.648, 0.867)
└──

# MnPtIO6
Theoretical powder diffractogram, Cu Kα (weighted mean of Kα1 and Kα2). Input: a cell relaxed with GGA+U.

The 10 most intense peaks (2θ = 10–90°), in order of rising 2θ:
| hkl | two_theta | I_rel |
| --- | --- | --- |
| 0 0 2 | 19.11 | 612 |
| 1 0 0 | 19.29 | 283 |
| 1 0 2 | 27.28 | 1000 |
| 1 1 0 | 33.73 | 642 |
| 1 1 2 | 39.06 | 633 |
| 2 0 2 | 43.91 | 267 |
| 1 1 4 | 52.32 | 604 |
| 2 1 2 | 56.49 | 253 |
| 3 0 0 | 60.34 | 230 |
| 4 -2 4 | 83.91 | 148 |

Cell and atoms:
abc: 5.314 5.314 9.289
angles: 90.00 90.00 120.00
Sites, in units of the cell vectors:
Mn (0.000, 0.000, 0.000)
Mn (0.000, 0.000, 0.500)
Pt (0.333, 0.667, 0.250)
Pt (0.667, 0.333, 0.750)
I (0.333, 0.667, 0.750)
I (0.667, 0.333, 0.250)
O (0.003, 0.352, 0.133)
O (0.003, 0.651, 0.367)
O (0.349, 0.352, 0.367)
O (0.349, 0.997, 0.133)
O (0.352, 0.003, 0.633)